**Request:**
Echo the entries further down exactly.

**Contents:**
- - -
Diffraction record for LiGdO3. The powder diffractogram is calculated, not measured: it uses a cell relaxed with PBE and λ = 1.5418 Å (Cu Kα).
Lines closer than 0.1° are merged.

Main lines, in order of falling intensity (10° ≤ 2θ ≤ 90°):
| hkl | Position (°2θ) | d/Å | Rel. int. |
| --- | --- | --- | --- |
| 1 0 0 | 24.03 | 3.704 | 1000 |
| 1 1 0 | 34.24 | 2.619 | 958 |
| 1 1 1 | 42.27 | 2.138 | 675 |
| 2 1 0 | 55.48 | 1.656 | 437 |
| 2 1 1 | 61.31 | 1.512 | 377 |
| 2 0 0 | 49.20 | 1.852 | 351 |

Crystal structure
Unit cell a=3.7035 b=3.7035 c=3.7035 alpha=90.00 beta=90.00 gamma=90.00
Space group Pm-3m (No. 221)
Asymmetric unit:
Li: 0.0000 0.0000 0.0000 x1
Gd: 0.5000 0.5000 0.5000 x1
O: 0.0000 0.0000 0.5000 x3

=====

Diffraction record for PrIn4Au2. The powder diffractogram is calculated, not measured: it uses a cell relaxed with PBE and λ = 1.5418 Å (Cu Kα).
Lines closer than 0.1° are merged.

Main lines, in order of falling intensity (10° ≤ 2θ ≤ 90°):
| hkl | Position (°2θ) | d/Å | Rel. int. |
| --- | --- | --- | --- |
| 2 1 2 | 31.85 | 2.810 | 1000 |
| 5 1 1 | 32.51 | 2.754 | 660 |
| 0 2 0 | 37.99 | 2.368 | 633 |
| 6 1 2 | 41.94 | 2.154 | 630 |
| 7 0 1 | 35.22 | 2.548 | 297 |
| 2 3 2 | 64.79 | 1.439 | 187 |

Crystal structure
Unit cell a=18.9618 b=4.7365 c=7.5079 alpha=90.00 beta=90.00 gamma=90.00
Space group Pnma (No. 62)
Asymmetric unit:
Pr: 0.1417 0.2500 0.0262 x4
In: 0.0352 0.7500 0.8507 x4
In: 0.0687 0.2500 0.4915 x4
In: 0.1849 0.7500 0.3256 x4
In: 0.1883 0.7500 0.7344 x4
Au: 0.0396 0.7500 0.2426 x4
Au: 0.2190 0.2500 0.5327 x4
- - -

**Completed:**
Diffraction record for LiGdO3. The powder diffractogram is calculated, not measured: it uses a cell relaxed with PBE and λ = 1.5418 Å (Cu Kα).
Lines closer than 0.1° are merged.

Main lines, in order of falling intensity (10° ≤ 2θ ≤ 90°):
| hkl | Position (°2θ) | d/Å | Rel. int. |
| --- | --- | --- | --- |
| 1 0 0 | 24.03 | 3.704 | 1000 |
| 1 1 0 | 34.24 | 2.619 | 958 |
| 1 1 1 | 42.27 | 2.138 | 675 |
| 2 1 0 | 55.48 | 1.656 | 437 |
| 2 1 1 | 61.31 | 1.512 | 377 |
| 2 0 0 | 49.20 | 1.852 | 351 |

Crystal structure
Unit cell a=3.7035 b=3.7035 c=3.7035 alpha=90.00 beta=90.00 gamma=90.00
Space group Pm-3m (No. 221)
Asymmetric unit:
Li: 0.0000 0.0000 0.0000 x1
Gd: 0.5000 0.5000 0.5000 x1
O: 0.0000 0.0000 0.5000 x3

=====

Diffraction record for PrIn4Au2. The powder diffractogram is calculated, not measured: it uses a cell relaxed with PBE and λ = 1.5418 Å (Cu Kα).
Lines closer than 0.1° are merged.

Main lines, in order of falling intensity (10° ≤ 2θ ≤ 90°):
| hkl | Position (°2θ) | d/Å | Rel. int. |
| --- | --- | --- | --- |
| 2 1 2 | 31.85 | 2.810 | 1000 |
| 5 1 1 | 32.51 | 2.754 | 660 |
| 0 2 0 | 37.99 | 2.368 | 633 |
| 6 1 2 | 41.94 | 2.154 | 630 |
| 7 0 1 | 35.22 | 2.548 | 297 |
| 2 3 2 | 64.79 | 1.439 | 187 |

Crystal structure
Unit cell a=18.9618 b=4.7365 c=7.5079 alpha=90.00 beta=90.00 gamma=90.00
Space group Pnma (No. 62)
Asymmetric unit:
Pr: 0.1417 0.2500 0.0262 x4
In: 0.0352 0.7500 0.8507 x4
In: 0.0687 0.2500 0.4915 x4
In: 0.1849 0.7500 0.3256 x4
In: 0.1883 0.7500 0.7344 x4
Au: 0.0396 0.7500 0.2426 x4
Au: 0.2190 0.2500 0.5327 x4